Thank you for clarifying.
Global War 1940 2nd ed.
Help understand.
So what reason make you change Fg to A6 D6 C9?
Instead of well rounded C10, Fg A6 D8 C10? -
Help understand.
So what reason make you change Fg to A6 D6 C9?
Instead of well rounded C10, Fg A6 D8 C10?Kept it simple. 9, 10, 11, 12. Could make fig C10 D7 for the extra 1 in cost.
Help understand.
So what reason make you change Fg to A6 D6 C9?
Instead of well rounded C10, Fg A6 D8 C10?Kept it simple. 9, 10, 11, 12. Could make fig C10 D7 for the extra 1 in cost.
Don’t you feel it is broken?
Against A8 bombers or heavys.
If you only have 2 Fgs D6 and Carrier D4 or D5, you are way more toasted playing Allies against Germany.And for increasing speed, I would try to put Fg, TcB, StB, 10 IPCs and Heavy 12 IPCs.
Seems easier and faster to calculate.You have D12 on your side to make adjustments.
For example, StB A6 D2 M6-7 C10, Heavy A8 D2 M7-8 C12
TcB A6 D4 M4-5 C10 and Fg A6 D7 M4-5 C10. -
Help understand.
So what reason make you change Fg to A6 D6 C9?
Instead of well rounded C10, Fg A6 D8 C10?Kept it simple. 9, 10, 11, 12. Could make fig C10 D7 for the extra 1 in cost.
Don’t you feel it is broken?
Don’t know yet.
Against A8 bombers or heavys.I don’t like bombers A8 but then if I change it it slows game down do to lower Attack values for planes. Guys like the A8 A6 values for bomber and fig.
If you only have 2 Fgs D6 and Carrier D4 or D5, you are way more toasted playing Allies against Germany.Our games so far have no Germany bombers really attacking allies. In this game there is more Russian pieces so Germany focusing more there.
And for increasing speed, I would try to put Fg, TcB, StB, 10 IPCs and Heavy 12 IPCs.
Seems easier and faster to calculate.This I will put in game now and make Fig D7.
You have D12 on your side to make adjustments.
But I also added 8 planes per sides. Did your conversion. 3 figs = 1 fig and also made some figs Tacs because there weren’t any in game. i looked at a 39 setup and another 40 setup to see how many total planes were in those setups. Its nice to see the extra planes. doesn’t seem to offset nothing yet.
I have to decide if I’m going to add in game, roll a 4 or less for fig get to take a plane as a kill.
Where do you start do give your combat values for planes?
I simply make an assumption that OOB G40 was the reference.
But I feel Global War is different.You say you don’t have TcB in initial set-up.
Where is the basic set-up for your map?If you make a conversion from 2 planes to get a third but don’t change Fighter combat values, I doubt you will get a more balanced game.
When I developed my idea for Fg making hit directly on aircraft, I first try to divide the combat power in half because of increased casualties:
(D12) Fg A3 D4 C7. And it was possible to add 3 Fgs on a Carrier to get almost same combat factor for same cost than 2 Fg A6 D8 C10
3 Fgs A9 D12 C21, 3 hits vs 2 Fgs A12 D16 C20, 2 hitsAt least on defense, 10 D4 vs 7 D8 gives odds of survival around: 50% vs 48%.
On a AACalc, you get similar odds of survival between them.So, 10 divided by 7 gives 1.43 which is near 1.5 so for 2 OOB Fgs I add a third one (2*1.5=3).
But it is not the same if you use higher combat values for Fighter.
You will not preserve the initial set-up balance if adding Fg.For TcB, I used this scale down 2 pts for each IPC (using 10 IPCs Fg as basis):
10 IPCs A6 D8
9 IPCs A6 D6
8 IPCs A6 D4 or A4 D6
TcB will be better on offense compared to Fg, so I chose A6 D4.Assuming attack is costlier than defense, it makes sense if Fg A4 D4 C7 to get TcB A6 D4 C8
So, when Fg A4 is attacking TcB D4, it is same values (but since Fg cheaper, it remains better unit)
TcB A6 attacking Fg D4, TcB is better but because I use Fg hit directly aircraft there was no issue about it.However, with StBs it is another case:
StB A8 C12 vs Fg D4 C7 was quite an issue.
I partly solved it knowing that 7A8 worth same in Calc as 10D4.
So, a 12 IPCs bomber is not better than defending Fg.
And not at all on offence considering that 12 Fg A4 are better than 7 StB A8.OOB StB A8 C12 vs Fg D8 C10 is on par in absolute value, but since Fg is cheaper we still view it as better on defense.
However, I was not totally happy of my number.
I rather like something which clearly show how Fg are superior on defense against bombers.Something like bomber C5 totally solved it.
If it have no regular combat value. Problem solved.
You keep it for SBR dogfight.A StB A1 or A2 C5 (is the lowest combat number) against Fg D4 C7 it makes a very good match, if not perfect.
TcB A2 C8 (is the same lowest combat number but higher cost) showed it is not better than StB against Fg in air combat.
But TcB A6 D4 C8 can be part of regular combat and pick ground unit upon hit, which is pretty descriptive on what can be done from air.
All units can fight air vs air.IDK if these cost are really slowing things down because 7+8+5 gives 20 IPCs or 7+8 gives 15.
Also 7 and 8 are usual numbers for TPs and DDs.IMO it solved all symbolic issues with combat values.
Now if I look at Fg A6 D6 or D7 C10 it is weaker on defense against StB A8 D2 C11.
And your game is safe because German player don’t play Dark Sky to make abusive Heavys power projection.
But your weaker Fg D7 being on 2 planes Carrier cannot compete against a flock of StBs A8 M7-8 C12.
Using correctly such Superweapon, your US fleet wouldn’t dare to land in North Africa.
Running a few simulations even with Fg D8, it requires 3 scrambling Fgs and even best 6 Fgs to get a good cover.
Buying A0 D4 C16 Carrier for 2 Fgs D8 was difficult to manage.
36 IPCs: 3 StBs A24, 3 hits vs 1 full Carrier D20, 4 hits is quite enough to survived: 20% vs 75%, but you don’t bring any other units.
Nonetheless you have a few room for TPs.If you drop to 3 StBs A24 vs D16 (2 Fg D6 + CV D4): 46% vs 48%, you cannot buy any TPs.
Any invasion force would be weaker than StBs on the same IPCs basis.
Number below makes for 6 StBs vs 2 Full Carrier with Fg A6 D6. you add 2 StBs for 2 TPs+4 Infs you gets 95% vs 5% odds of survival. So you are completely toasted.
'''
For Sc2ZnS, DFT lattice parameters and positions (PBE) gives the computed powder diffraction line list in this record (Cu Ka).

Structure:
abc: 3.656 20.983 3.895
angles: 90.00 90.00 90.00
Space group Cmcm (No. 63)
Inequivalent atoms, fractional coordinates:
Sc 0.000 0.073 0.250 x4
Sc 0.000 0.316 0.250 x4
Zn 0.000 0.460 0.250 x4
S 0.000 0.193 0.250 x4

The 12 most intense peaks (5 to 70 degrees two-theta), in order of falling intensity:
2theta  I_rel
33.9  100
45.5  64
8.4  49
34.2  43
46.6  30
40.1  28
36.1  27
49.9  25
41.5  24
32.5  16
59.1  15
61.9  15



For Sc3ZnS6, DFT lattice parameters and positions (PBE) gives the computed powder diffraction line list in this record (Cu Ka).

Structure:
abc: 10.255 12.783 6.071
angles: 90.00 90.00 90.00
Space group Cmc2_1 (No. 36)
Inequivalent atoms, fractional coordinates:
Sc 0.000 0.106 0.000 x4
Sc 0.179 0.396 0.083 x8
Zn 0.000 0.298 0.626 x4
S 0.000 0.277 0.253 x4
S 0.000 0.466 0.784 x4
S 0.163 0.025 0.289 x8
S 0.176 0.229 0.821 x8

The 12 most intense peaks (5 to 70 degrees two-theta), in order of falling intensity:
2theta  I_rel
26.7  100
44.2  77
40.4  68
27.0  63
36.8  52
41.0  51
53.6  48
53.1  39
30.8  34
37.2  24
31.6  21
69.7  18



For ZrSc3S4, DFT lattice parameters and positions (PBE) gives the computed powder diffraction line list in this record (Cu Ka).

Structure:
abc: 6.419 7.392 6.387
angles: 90.00 109.45 90.00
Space group P2/c (No. 13)
Inequivalent atoms, fractional coordinates:
Zr 0.000 0.109 0.250 x2
Sc 0.000 0.360 0.750 x2
Sc 0.500 0.117 0.750 x2
Sc 0.500 0.372 0.250 x2
S 0.248 0.377 0.499 x4
S 0.259 0.130 0.004 x4

The 12 most intense peaks (5 to 70 degrees two-theta), in order of falling intensity:
2theta  I_rel
34.3  100
49.2  33
49.4  32
61.4  10
29.6  10
12.0  6
61.3  5
61.6  5
19.0  5
14.6  4
29.7  3
28.3  3



For Zr2Sc2S7, DFT lattice parameters and positions (PBE) gives the computed powder diffraction line list in this record (Cu Ka).

Structure:
abc: 3.689 13.461 8.143
angles: 90.00 90.00 90.00
Space group Imm2 (No. 44)
Inequivalent atoms, fractional coordinates:
Zr 0.000 0.241 0.000 x4
Sc 0.000 0.000 0.767 x2
Sc 0.000 0.500 0.797 x2
S 0.000 0.000 0.073 x2
S 0.000 0.109 0.486 x4
S 0.000 0.318 0.699 x4
S 0.000 0.357 0.299 x4

The 12 most intense peaks (5 to 70 degrees two-theta), in order of falling intensity:
2theta  I_rel
37.8  100
43.5  54
25.6  45
26.5  41
13.2  34
29.7  34
46.2  30
49.4  25
33.4  24
38.6  20
68.9  17
41.3  17



For Zr2Sc4S9, DFT lattice parameters and positions (PBE) gives the computed powder diffraction line list in this record (Cu Ka).

Structure:
abc: 6.4504 6.4504 17.8304
angles: 90.00 90.00 120.00
Space group P-3c1 (No. 165)
Inequivalent atoms, fractional coordinates:
Zr 0.0000 0.0000 0.1618 x4
Sc 0.3333 0.6667 0.0127 x4
Sc 0.3333 0.6667 0.3259 x4
S 0.0000 0.3216 0.2500 x6
S 0.0235 0.3520 0.9177 x12

The 12 most intense peaks (5 to 70 degrees two-theta), in order of falling intensity:
2theta  I_rel
41.3  100
31.6  59
18.7  55
48.9  50
25.6  39
'''
So Germany may repel any US invasion if Fg are A6 D6.
And you only bring 2 TPs! A single TP for each fully loaded Carrier.
It is the best I can do to show the issue of a too low defense factor for Fighters
If I can get figs at C10 A6 D8, nobody will buy bombers. I’ll take fig D8 before a Bomber D2.
This is your suggestion.
Fig A6 D8 M4 C10 4 or less roll get to hit a plane on A and D.
Tac A6 D4 M4 C10 can pick hit on ground or naval.
Stg. Bomber A8 D2 M6 C10 1D6
H. Bomber A8 D2 M7 C12 1D6 +2Dog fighting ? Fig A3 D3
Tac A1
Stg. B A1
H. Bom A2
Or are you suggesting using normal A D values for dog fighting ?I have Carriers at A5 D5 M2 C14 2 hits.
Basic setup is under Deaths Head thread just below mine in Global War 40 click on page 1
But I’ve added some pieces to game and added more ground in SA do to Italy having no pressure on them in games. -
If I can get figs at C10 A6 D8, nobody will buy bombers. I’ll take fig D8 before a Bomber D2.
This is your suggestion.
Fig A6 D8 M4 C10 4 or less roll get to hit a plane on A and D.
Tac A6 D4 M4 C10 can pick hit on ground or naval.
Stg. Bomber A8 D2 M6 C10 1D6
H. Bomber A8 D2 M7 C12 1D6 +2Dog fighting ? Fig A3 D3
Tac A1
Stg. B A1
H. Bom A2
Or are you suggesting using normal A D values for dog fighting ?I have Carriers at A5 D5 M2 C14 2 hits.
Basic setup is under Deaths Head thread just below mine in Global War 40 click on page 1
But I’ve added some pieces to game and added more ground in SA do to Italy having no pressure on them in games.What is weird is the whole G40 OOB is based on these bombers values at 12 IPCs:
If I can get figs at C10 A6 D8, nobody will buy bombers. I’ll take fig D8 before a Bomber D2.And someone decided to try a massive StBs purchase and developped Dark Sky strategy.
In addition, your StBs A8 D2 is cheaper, and same cost as Fg A6 D8 would.
For dogfighting in SBR I would not change that much (but you have D12 digit):
Dog fighting ? Fig A3 D3
Fig A3 D3
Tac A2
Stg. B A1
H. Bom A2
Fig A4 D4
Tac A2
StB A2
H. B A3Carriers at A5 D5 M2 C14 2 hits.
It helps a bit with Fg D6, but full Carrier defense is not as high as it can be (compared to G40 OOB full Carrier with Fgs)
Carriers at A5 , really?What the historical evolution of your Fighter vs Bomber units.
Does HBG or Global War have different OOB values compared to G40? -
Global are Fig C10 Tac C11 Stg. B C12.
You said in past posts why not make all 3 planes C10 and H. bom 12. instead of 9, 10, 11, 12
I’m just gonna go with Fig A6 D8 M4 C10 4 roll or less hits plane
Tac A6 D5 M4 C10 pick piece
Stg. B A8 D2 M6 C11 1D6
H. Bom A8 D3 M7 C12 1D6 +2 or 2D6 -2.
Fig A4 D4
Tac A2
Bom A2
H. Bom A3 for dog fighting.Carriers are A0 D5 M2 C14 2 hits. The A5 for carrier was a miss type in last post.
Theres some confusion going a little.
Are you sure of these bomber cost?
Stg. Bomber A8 D2 M6 C11 1D6
Heavy Bom A8 D3 M7 C12 1D6 +2 or 2D6 -2.Just on a simple look, I will always buy Heavy because 1 IPC higher is not a big deal and +1M is cool, because on your map a lot of ICs are with 4 TTys away, so M8 with AB bonus is far more valuable and Heavy get D3 instead of D2. Damage +2, also.
It is a lot.At 10 for St Bomber vs 12 for Heavy with same stats as above, I would probably wonder what is my real need about bombers?
May I saved 2 IPCs going with StB instead or will it be worth because I need an M8 unit?That would be my inner thoughts if I was going to play…
Yes agree. I make the Stg Bomber C10 ?
Yes agree. I make the Stg Bomber C10 ?
It is up to you SS.
I just feel that on your big map, StBs doing D6 damage can be 10 IPCs.
And you also get an opportunity to see amongst fellow players how it makes for a faster game or not when 3 planes have same 10 IPCs cost.
Easier to count, and easier to change idea just before purchasing without taking too long.
And if you still play with Fg “4” or less hitting planes, you save a few bucks for normal attrition due to this targeting capacity. -
I’ll go with the C10 Bomber. I’m courious to see what the fig D8 does for Germany on any allies invasions in France
Here’s some pics of game after 4 turns. Also Charts showing the NA’s the Countries have (get to roll for 2 at beginning of each game) with Victory City’s and other Chart is the Tech each country has and there ICP totals. Went back to mostly normal piece values. Looks like a good show down in the Pacific.
Invasion coming soon in Europe and Italy is gonna need to help.
This game we got a bit more tech involved with good break thru die rolls and a couple free techs and 2 countries had there Spy’s steal tech but both steals didn’t really help that country but still an awesome event card to have in game. If at all possible have this in your game some how (Spy steals research papers for tech. You get 1 tech that the other side has. Your choice).For us this game has a bit of everything and things at least change every game. The Tech is working out great so far. US has 4 research tokens and rolled 4 die last turn and didn’t get a break thru, but that is coming. Will they get a good tech and help win the game or get a useless one ? You roll 4 6’s you only get 1 tech roll for chart. Then you lose all tokens. US got a free research token at the wrong time. You want that when you don’t have any tokens.
Here’s the 2’ x 3’ magnetic charts showing what each country has in game and so far as tech.
Sorry for some glare, charts will be moved soon.
You got to go back 1 post to see game report and map pics.
The chart with the nations along with special abilities comes from what set of rules? I am not familiar with them.
The NAs come from revised game with some modifications. That is the first chart.
I will post final game report soon. But on turn 7 Japan took Calcutta and will see if Germany takes Moscow turn 8. I don’t see the Allies getting any VC’s back by end of turn 10 for keeping the Axis at 14 or less VC’s for an Allies win.
After 7 turns there’s 11 techs out there between the sides and nothing really throwing the game off. Japan does have -1 for each ground they buy and that has helped them in India with tanks. I can see why a Jap tank went to A5 instead of a 6.
But Russia had same tech but got it to late in game.So with the added Tech and NA’s with Event Cards and Generals game still seemed to go in that normal direction. Take Moscow and Calcutta. With the added Victory Points conditions this should change up the game even more.
I’m going to try for new victory conditions. I like the Victory Point system that BL E, Baron , Agr, and some of the others guys are discussing in the House rules section for the 42 game.
I can see where Germany doesn’t have to take Moscow or London to win. If it has to be tweaked so be it. If I need to add more City’s with points will see.
Baron, or any body else.
These are my Victory city’s in game. I’m trying to make it where adding the Victory points to game to change up more of the game.
3 point Victory City’s
Moscow USSR
Berlin Ger
London UK
Tokyo Japan
Rome Italy2 point Victory City’s
Paris Ger
Leningrad USSR
Hawaii US
ShangHai Japan
Manilla US
S.F. US1 point Victory City’s
Stalingrad USSR
Sydney UK
Oslo Ger
Ottawa UK
Cairo UK
Johannesburg UK
Honk Kong UK
Warsaw Ger
Calcutta UK
Peking Japan
Milan Italy
Changkhun Japan
• Inserted here: materials data:
<<<
Record 1
Structure and simulated powder X-ray diffraction pattern of ErPuRuPb (the PBE geometry in Alexandria; Cu Kα (λ = 1.5418 Å)).
Intensities are scaled so that the largest is 100.

The 6 most intense peaks (2θ from 15° to 90°), sorted by position:
d = 3.103 Å, I 22; d = 2.633 Å, I 100; d = 2.351 Å, I 46; d = 1.820 Å, I 16; d = 1.663 Å, I 16; d = 1.406 Å, I 29

Cell and atoms:
```
ErPuRuPb
1.0
3.3255 0.0000 0.0000
0.0000 3.3255 0.0000
0.0000 0.0000 8.6218
Er Pu Ru Pb
1 1 1 1
direct
0.0000 0.0000 0.0000
0.0000 0.0000 0.6018
0.5000 0.5000 0.8022
0.5000 0.5000 0.2975
```



Record 2
Structure and simulated powder X-ray diffraction pattern of Er2Rh4Pb (the PBE geometry in Alexandria; Cu Kα (λ = 1.5418 Å)).
Intensities are scaled so that the largest is 100.

The 6 most intense peaks (2θ from 15° to 90°), sorted by position:
d = 3.922 Å, I 22; d = 2.316 Å, I 97; d = 2.299 Å, I 100; d = 1.632 Å, I 33; d = 1.330 Å, I 33; d = 1.327 Å, I 17

Cell and atoms:
```
Er2Rh4Pb
1.0
2.2986 1.3271 7.5933
-2.2986 1.3271 7.5933
0.0000 -2.6542 7.5933
Er Rh Pb
2 4 1
direct
0.2427 0.2427 0.2427
0.7573 0.7573 0.7573
0.1235 0.1235 0.1235
0.3743 0.3743 0.3743
0.6257 0.6257 0.6257
0.8765 0.8765 0.8765
0.0000 0.0000 0.0000
```



Record 3
Structure and simulated powder X-ray diffraction pattern of ErRh2Pb2 (the PBE geometry in Alexandria; Cu Kα (λ = 1.5418 Å)).
Intensities are scaled so that the largest is 100.

The 6 most intense peaks (2θ from 15° to 90°), sorted by position:
d = 3.282 Å, I 25; d = 2.372 Å, I 100; d = 2.355 Å, I 25; d = 2.287 Å, I 23; d = 1.363 Å, I 18; d = 1.336 Å, I 17

Cell and atoms:
```
ErRh2Pb2
1.0
4.5749 0.0000 0.0000
0.0000 4.7098 0.0000
0.0000 0.0000 10.3013
Er Rh Pb
2 4 4
direct
0.2500 0.2500 0.1716
0.7500 0.7500 0.8284
0.2500 0.7500 0.0006
0.2500 0.7500 0.3247
0.7500 0.2500 0.6753
0.7500 0.2500 0.9994
0.2500 0.2500 0.4944
0.2500 0.2500 0.8278
0.7500 0.7500 0.1722
0.7500 0.7500 0.5056
```



Record 4
Structure and simulated powder X-ray diffraction pattern of Er2Rh3Pb (the PBE geometry in Alexandria; Cu Kα (λ = 1.5418 Å)).
Intensities are scaled so that the largest is 100.

The 6 most intense peaks (2θ from 15° to 90°), sorted by position:
d = 3.368 Å, I 16; d = 2.386 Å, I 100; d = 2.377 Å, I 99; d = 1.684 Å, I 34; d = 1.376 Å, I 53; d = 1.371 Å, I 17

Cell and atoms:
```
Er2Rh3Pb
1.0
4.7711 0.0000 0.0000
-2.3855 4.1319 0.0000
0.0000 0.0000 11.6237
Er Rh Pb
4 6 2
direct
0.0000 0.0000 0.0000
0.0000 0.0000 0.5000
0.3333 0.6667 0.1742
0.6667 0.3333 0.8258
0.0000 0.0000 0.2466
0.0000 0.0000 0.7534
0.3333 0.6667 0.4209
0.3333 0.6667 0.9180
0.6667 0.3333 0.0820
0.6667 0.3333 0.5791
0.3333 0.6667 0.6666
0.6667 0.3333 0.3334
```

* * * * *

This entry pairs a crystal structure of Ca2MoWO6 with its theoretical X-ray diffraction stick pattern. Radiation: Cu Kα X-rays. Structure: a cell relaxed with GGA+U.
Peak positions follow from Bragg's law for the DFT cell and can differ from measured ones.
>>>
Siagon JapanAllies have total points of 24 need 4 more points to win
Axis have total points of 19 need 9 to win.
28 points wins you the game.
I don’t want to add or take away any Victory City’s. Just trying to change the way the game goes some what. Now the axis may have to many points to get to win if US gets a good push in the Pacific. So I may have to lower there total points to win.
Any thoughts out there ?
Can you marks each VCs on last post so it will be able to see on glance which is on which side?
Ya I’ll edit it. Forgot.